Swift vs Flutter

Materials data that have nothing to do with the text.
┌──
DFT (PBE-GGA) results for crystalline Na4Ti2Nb2Si5SO24 at its relaxed geometry.

Summary:
crystal system	triclinic
DFT formation energy	-283.28	kJ/mol of atoms

a = 8.925 Å, b = 8.928 Å, c = 22.480 Å
α = 90.00°, β = 89.95°, γ = 60.15°
Positions (direct):
Na1 0.000 0.000 0.000
Na2 0.001 0.012 0.511
Na3 0.005 0.361 0.760
Na4 0.330 0.353 0.346
Na5 0.337 0.967 0.594
Na6 0.342 0.700 0.090
Na7 0.347 0.338 0.843
Na8 0.369 0.003 0.259
Na9 0.673 0.035 0.423
Na10 0.679 0.670 0.673
Na11 0.684 0.671 0.172
Na12 0.974 0.332 0.089
Ti1 0.011 0.011 0.363
Ti2 0.016 0.000 0.861
Ti3 0.352 0.307 0.490
Ti4 0.667 0.658 0.029
Ti5 0.674 0.655 0.530
Ti6 0.989 0.011 0.657
Nb1 0.330 0.341 0.986
Nb2 0.336 0.326 0.699
Nb3 0.341 0.334 0.198
Nb4 0.663 0.662 0.320
Nb5 0.671 0.659 0.818
Nb6 0.999 0.001 0.154
Si1 0.002 0.292 0.259
Si2 0.006 0.722 0.759
Si3 0.043 0.624 0.092
Si4 0.045 0.335 0.591
Si5 0.281 0.714 0.261
Si6 0.291 0.991 0.756
Si7 0.347 0.039 0.092
Si8 0.378 0.672 0.926
Si9 0.378 0.950 0.429
Si10 0.627 0.329 0.090
Si11 0.637 0.036 0.591
Si12 0.669 0.373 0.429
Si13 0.718 0.277 0.761
Si14 0.721 0.999 0.264
Si15 0.957 0.372 0.926
S1 0.339 0.618 0.590
S2 0.672 0.951 0.927
S3 0.960 0.664 0.427
O1 0.035 0.810 0.818
O2 0.037 0.164 0.316
O3 0.038 0.808 0.098
O4 0.042 0.154 0.595
O5 0.134 0.509 0.433
O6 0.135 0.362 0.652
O7 0.141 0.495 0.149
O8 0.151 0.353 0.932
O9 0.164 0.814 0.318
O10 0.166 0.037 0.815
O11 0.170 0.024 0.098
O12 0.172 0.523 0.751
O13 0.173 0.534 0.035
O14 0.180 0.300 0.254
O15 0.181 0.309 0.536
O16 0.187 0.793 0.594
O17 0.187 0.840 0.921
O18 0.188 0.971 0.422
O19 0.206 0.831 0.200
O20 0.208 0.968 0.695
O21 0.305 0.171 0.752
O22 0.306 0.172 0.037
O23 0.310 0.521 0.255
O24 0.323 0.531 0.537
O25 0.361 0.516 0.645
O26 0.366 0.142 0.433
O27 0.369 0.130 0.153
O28 0.369 0.491 0.930
O29 0.473 0.690 0.987
O30 0.474 0.701 0.267
O31 0.481 0.833 0.486
O32 0.486 0.830 0.766
O33 0.495 0.357 0.433
O34 0.497 0.638 0.588
O35 0.501 0.144 0.647
O36 0.503 0.364 0.148
O37 0.504 0.866 0.369
O38 0.505 0.650 0.870
O39 0.510 0.846 0.086
O40 0.512 0.125 0.931
O41 0.524 0.309 0.751
O42 0.526 0.166 0.254
O43 0.533 0.302 0.033
O44 0.544 0.154 0.531
O45 0.638 0.853 0.587
O46 0.646 0.502 0.086
O47 0.649 0.498 0.370
O48 0.651 0.869 0.872
O49 0.688 0.847 0.981
O50 0.693 0.831 0.267
O51 0.697 0.476 0.484
O52 0.705 0.470 0.766
O53 0.808 0.026 0.323
O54 0.809 0.163 0.819
O55 0.823 0.165 0.096
O56 0.825 0.020 0.598
O57 0.827 0.969 0.923
O58 0.835 0.483 0.266
O59 0.837 0.179 0.422
O60 0.839 0.689 0.766
O61 0.840 0.476 0.985
O62 0.841 0.974 0.204
O63 0.844 0.199 0.702
O64 0.848 0.690 0.480
O65 0.855 0.507 0.583
O66 0.859 0.636 0.086
O67 0.870 0.493 0.867
O68 0.879 0.639 0.373
O69 0.971 0.823 0.423
O70 0.972 0.184 0.922
O71 0.975 0.205 0.199
O72 0.976 0.842 0.701
└──

Swift vs Flutter

A High level comparison

Swift and Flutter are two popular programming languages and frameworks for building mobile applications. Here is a technical comparison between the two:

  1. Programming Language: Swift is a compiled programming language developed by Apple Inc. for their platforms and Linux. It is a statically typed language, which means that the type of a value must be known at compile-time. Flutter, on the other hand, is an open-source mobile application development framework created by Google. It uses the Dart programming language, which is an object-oriented language with a C-style syntax.

  2. Architecture: Swift follows a traditional architecture, where the app is compiled into native machine code and runs directly on the device's hardware. Flutter, on the other hand, uses a hybrid architecture, where the app is compiled into native machine code but runs inside a thin layer called a "flutter engine" that provides access to the device's native components.

  3. User Interface: Both Swift and Flutter provide their own set of tools for building user interfaces. Swift uses the native UIKit framework to build iOS apps and the AppKit framework to build macOS apps. Flutter provides a rich set of customizable widgets and tools for building beautiful and responsive user interfaces for both iOS and Android.

  4. Performance: Both Swift and Flutter offer good performance for mobile app development. Swift apps are compiled into native machine code and run directly on the device's hardware, which makes them generally faster and more efficient. Flutter's hybrid architecture allows it to provide similar performance to native apps, and its Hot Reload feature allows developers to make changes to the code and see the results in real-time, which can greatly improve the development process.

  5. Community and Support: Both Swift and Flutter have large and active communities, with many developers and companies using and contributing to the frameworks. Swift has been around for longer and has more established support from Apple and the community, while Flutter is a newer framework with a growing community.

In summary, both Swift and Flutter are powerful tools for building mobile applications, and the choice between the two depends on the specific needs and preferences of the developer and the project. Swift may be a better choice for developers who want to build native apps for Apple's platforms, while Flutter may be a better choice for developers who want to build cross-platform apps for both iOS and Android.

Well, that's a wrap! That's it for this blog post. I hope you found this high level comparison of swift & flutter. If you have any questions or comments, please leave a reply or contact me on Twitter. Thank you!